Brief =
Could you type out the notes further below from the first line to the one with "-8.47 eV" without additions?

Input =
........
[1]
Here is a molecular structure, C9H10BrCl2N3PS from the OMol25 dataset. Energies are from ωB97M-V/def2-TZVPD.

Atoms and positions in Å:
C  2.684  2.742  -0.091
C  1.353  2.068  -0.438
Cl  1.550  1.104  -1.934
C  0.819  1.222  0.743
Cl  -0.175  2.333  1.742
C  0.155  -0.088  0.421
C  0.895  -1.190  0.721
C  0.415  -2.471  0.404
N  1.047  -3.649  0.616
S  0.018  -4.766  0.134
N  -1.153  -3.910  -0.485
C  -0.853  -2.611  -0.220
C  -1.610  -1.478  -0.526
C  -1.119  -0.229  -0.215
P  -2.199  1.097  -0.776
N  -3.570  0.623  -1.388
H  2.809  2.815  0.990
H  2.738  3.740  -0.526
H  3.512  2.154  -0.484
H  0.611  2.823  -0.690
H  1.669  0.976  1.375
H  1.865  -1.093  1.194
H  -2.580  -1.567  -0.999
H  -1.402  1.778  -1.719
H  -2.339  2.015  0.269
H  -4.358  1.010  -0.886
Br  -0.783  -5.450  2.768

Calculated values
calculated total energy = -4747.23152 Eh
lowest unoccupied orbital energy = 0.0901 Ha
highest occupied orbital energy = -4.24 eV
gap between HOMO and LUMO = 6.7 eV
F_max = 0.017 Eh/bohr
total charge = -1

***

[2]
Here is 2 unconnected molecules or ions with the total composition C9H10Cl2Si in a non-equilibrium geometry from the OMol25 dataset. Energies are from ωB97M-V/def2-TZVPD.

Atoms and positions in Å:
C  -2.871  -0.501  -1.903
C  -1.930  -1.507  -1.959
C  -2.333  0.646  -1.308
C  -0.596  -1.363  -1.723
C  -1.026  0.845  -1.016
C  -0.110  -0.169  -1.226
C  1.143  1.181  2.536
C  1.256  -0.254  2.722
C  2.145  0.405  1.838
Si  1.667  0.174  -0.840
Cl  2.224  1.709  -1.989
Cl  2.921  -1.411  -1.272
H  -3.870  -0.549  -2.159
H  -2.206  -2.458  -2.191
H  -3.212  1.306  -1.020
H  0.070  -2.226  -1.612
H  -0.738  1.625  -0.363
H  0.410  1.618  1.949
H  1.324  1.925  3.378
H  1.912  -0.563  3.590
H  0.587  -0.953  2.451
H  3.235  0.520  2.116

Calculated values
calculated total energy = -1558.76867 Eh
lowest unoccupied orbital energy = 0.0013 Ha
energy relative to the best compared isomer or geometry (same formula, charge and spin) = 391.3 kJ/mol
highest occupied orbital energy = -8.47 eV
gap between HOMO and LUMO = 8.5 eV
F_max = 0.109 Eh/bohr

----------

1.
{
  "formula": "FH3OP2",
  "method": "the ωB97M-V functional and the def2-TZVPD basis",
  "symbols": ["O", "F", "P", "P", "H", "H", "H"],
  "coordinates": [[2.028, 0.413, 0.488], [-0.976, 1.325, 0.244], [-1.438, -1.604, 0.080], [-1.653, 0.220, -0.792], [1.182, 0.779, 0.781], [2.717, 1.007, 0.372], [-1.860, -2.140, -1.173]],
  "mulliken_charge": [-0.626, -0.295, -0.039, 0.270, 0.335, 0.294, 0.061],
  "energy_ha": -859.59130,
  "homo_lumo_gap_ev": 8.78,
  "total_charge": 0,
  "e_homo_ev": -9.7680
}



2.
{
  "formula": "C26H21AuN4OPS",
  "method": "the ωB97M-V functional and the def2-TZVPD basis",
  "symbols": ["Au", "N", "C", "S", "N", "N", "C", "C", "C", "C", "C", "C", "N", "H", "H", "H", "H", "H", "H", "H", "O", "C", "C", "C", "C", "C", "C", "C", "P", "C", "C", "C", "C", "C", "C", "C", "C", "C", "C", "C", "C", "H", "H", "H", "H", "H", "H", "H", "H", "H", "H", "H", "H", "H", "H"],
........

Here it is =
[1]
Here is a molecular structure, C9H10BrCl2N3PS from the OMol25 dataset. Energies are from ωB97M-V/def2-TZVPD.

Atoms and positions in Å:
C  2.684  2.742  -0.091
C  1.353  2.068  -0.438
Cl  1.550  1.104  -1.934
C  0.819  1.222  0.743
Cl  -0.175  2.333  1.742
C  0.155  -0.088  0.421
C  0.895  -1.190  0.721
C  0.415  -2.471  0.404
N  1.047  -3.649  0.616
S  0.018  -4.766  0.134
N  -1.153  -3.910  -0.485
C  -0.853  -2.611  -0.220
C  -1.610  -1.478  -0.526
C  -1.119  -0.229  -0.215
P  -2.199  1.097  -0.776
N  -3.570  0.623  -1.388
H  2.809  2.815  0.990
H  2.738  3.740  -0.526
H  3.512  2.154  -0.484
H  0.611  2.823  -0.690
H  1.669  0.976  1.375
H  1.865  -1.093  1.194
H  -2.580  -1.567  -0.999
H  -1.402  1.778  -1.719
H  -2.339  2.015  0.269
H  -4.358  1.010  -0.886
Br  -0.783  -5.450  2.768

Calculated values
calculated total energy = -4747.23152 Eh
lowest unoccupied orbital energy = 0.0901 Ha
highest occupied orbital energy = -4.24 eV
gap between HOMO and LUMO = 6.7 eV
F_max = 0.017 Eh/bohr
total charge = -1

***

[2]
Here is 2 unconnected molecules or ions with the total composition C9H10Cl2Si in a non-equilibrium geometry from the OMol25 dataset. Energies are from ωB97M-V/def2-TZVPD.

Atoms and positions in Å:
C  -2.871  -0.501  -1.903
C  -1.930  -1.507  -1.959
C  -2.333  0.646  -1.308
C  -0.596  -1.363  -1.723
C  -1.026  0.845  -1.016
C  -0.110  -0.169  -1.226
C  1.143  1.181  2.536
C  1.256  -0.254  2.722
C  2.145  0.405  1.838
Si  1.667  0.174  -0.840
Cl  2.224  1.709  -1.989
Cl  2.921  -1.411  -1.272
H  -3.870  -0.549  -2.159
H  -2.206  -2.458  -2.191
H  -3.212  1.306  -1.020
H  0.070  -2.226  -1.612
H  -0.738  1.625  -0.363
H  0.410  1.618  1.949
H  1.324  1.925  3.378
H  1.912  -0.563  3.590
H  0.587  -0.953  2.451
H  3.235  0.520  2.116

Calculated values
calculated total energy = -1558.76867 Eh
lowest unoccupied orbital energy = 0.0013 Ha
energy relative to the best compared isomer or geometry (same formula, charge and spin) = 391.3 kJ/mol
highest occupied orbital energy = -8.47 eV